Abstract: In the historical sciences, one turn follows another: from the rather old linguistic turn to the postcolonial or global turn, the visual or iconic turn to the spatial, acoustic, and material turn. But how does history teaching respond to these turns? At first glance, hardly at all. But, we may ask, does history teaching need to respond at all? And if so, how might it respond? Or are there good reasons not to respond?
DOI: dx.doi.org/10.1515/phw-2014-2836.
Languages: English, Deutsch
In the historical sciences, one turn follows another: from the rather old linguistic turn to the postcolonial or global turn, the visual or iconic turn to the spatial, acoustic, and material turn. But how does history teaching respond to these turns? At first glance, hardly at all. But, we may ask, does history teaching need to respond at all? And if so, how might it respond? Or are there good reasons not to respond?
When is a turn a turn?
The historical sciences have often ridiculed for their “turneritis”. One may indeed ask whether the trendiness of certain research approaches and raising their distinctiveness to generate third-party funds are linked. Does such linkage always imply a paradigm shift in research, or should one much rather speak about new, additional perspectives?
The aforementioned turns do not coexist in isolation. Instead, they are part of a major, secular process. They are all cultural turns, sharing a shift of interest from particular research subjects to the methods for acquiring and consolidating knowledge (which then put a new complexion on the subjects researched). It is, then, a matter of more closely considering both the processes involved in the construction of history and the conceptual foundations for generating specialist knowledge.
Innovations in history teaching
Neither the topics of nor the trends in the historical sciences can be transferred one-to-one to the history classroom. Straight “copycat didactics” are obsolete. Generating and rendering distinct topics for history lessons are discrete processes based on specific criteria: the social relevance of historical knowledge and the insights to be gained by students; the personal relevance of such insights for the students themselves; and the opportunity to learn, apply, and practise specialist skills. That aside, it is also self-evident that research must hold the – referring to Koselleck – “right of veto”. In history lessons, nothing should be presented that conflicts with the current state of research – although in some cases, this may be rather difficult to determine.
“History teaching” (the term here comprises various aspects, ranging from the curriculum to everyday teaching) should acknowledge innovations in research. Whereas it should not be obliged to adopt such insights without hesitation, it ought to question their relevance. After all, it is by no means the case that history lessons have not incorporated various new approaches since the gradual implementation of the resource paradigm began (at academic high schools). As opposed to the former dominance of political history, contemporary history lessons now deal with social history and consider different emphases depending on the topic under discussion. Approaches such as everyday history, environmental history or – at the time – “women’s history” were adopted comparatively early in the didactic literature and in textbooks. But the example of “women’s history” also reveals implementation problems and limitations: textbooks still regard “women’s history” as a form of compensatory supplementary history; the implementation of gender history is by far more difficult and, as I see it, has so far not been implemented convincingly.
Is it all a question of the medium?
But what about the reception of recent historical science turns? The linguistic turn plays a major role in these developments, as the bedrock of the narrative paradigm of history didactics. Furthermore, global history has received intense attention, although the current concepts prove elusive. However, the diagnosis of most turns is ambivalent: on the one hand, there is a long, successfully applied practice in history lessons; on the other, however, from the perspective of the turn theories, this practice takes place rather subconceptually. This applies equally to the iconic turn, acoustic turn, material turn, and spatial turn. From a narrow point of view, these turns can be applied to the media used in history teaching – pictorial, audio, and material sources (including maps). These turns have therefore occupied a traditional place in the classroom or have at least been present there for some time. However, once again, in practice history teaching is conceptually less elaborated and pragmatically limited: educational work with pictorial sources lags behind Bredekamp’s concept of a “pictorial act”; moreover, a history of listening or of sounds and noises using material resources to generate scientific findings is not much help in school – where we need demonstrable sounds.
The general direction
If one looks not at individual turns but at the general tendency, a connection with the development of history teaching can of course be identified. Already during the broad implementation of source work, it was a matter of orienting teaching toward the building of specialist knowledge. Over time, the sources available have broadened and diversified (pictorial resources, segmentation of the major resource categories). Since the 1990s, moreover, the learning of methods has become a compulsory element of textbooks. Several new research approaches have been embraced over time. Since the 1980s, for instance, the central concept of “historical consciousness” has been established in didactic literature and curricula; subsequently, the concept of “historical culture” was added – mind you, the concept is being engaged with only hesistantly in the history classroom. The current competence orientation can be regarded as a grouping of all these steps toward fostering a conscious, reflected, and critical way of dealing with the meaning of one’s own history and that of other cultures – whatever the respective skills terminology. Thus, it is on this meta-level that the various turns in the historical sciences and the interests of good modern history teaching meet.
Further Reading
- Doris Bachmann-Medick, Cultural Turns. Neuorientierungen in den Kulturwissenschaften, (Reinbek 4th. Ed. 2010).
- Ute Daniel, Kompendium Kulturgeschichte. Theorien, Praxis, Schlüsselwörter, (Frankfurt a. M. 2001, 5th., rev. a. add. Ed. 2006).
- Silvia Serena Tschopp / Wolfgang E.J. Weber, Grundfragen der Kulturgeschichte, (Darmstadt 2007).
Web Resources
- Relevant articles on http://docupedia.de/zg/Kategorie:Methoden (last accessed 28.10.2014).
- Wikipedia.org, article: Cultural turn https://en.wikipedia.org/wiki/Cultural_turn (last accessed 5.11.2014).
Image Credits
© Guenter Hamich / pixelio.de.
Recommended Citation
Sauer, Michael: The science of history turns – even in school? In: Public History Weekly 2 (2014) 38, DOI: dx.doi.org/10.1515/phw-2014-2836.
In der Geschichtswissenschaft jagt ein Turn den anderen: vom schon älteren Linguistic Turn über den Postcolonial oder Global Turn, den Visual oder Iconic Turn bis hin zum Spatial, Acoustic und Material Turn. Wie reagiert der Geschichtsunterricht darauf? Auf den ersten Blick so gut wie gar nicht. Müsste er reagieren? Wie könnte er reagieren? Oder gibt es gute Gründe, nicht zu reagieren?
Wann ist ein Turn ein Turn?
Die “Turneritis” in der Geschichtswissenschaft ist schon des Öfteren bespöttelt worden. Man mag in der Tat kritisch fragen, ob eine gewisse Modenhaftigkeit der Forschungsansätze nicht auch etwas mit Profilierung zwecks Drittmittelgewinnung zu tun hat. Ist damit immer gleich ein Paradigmawechsel der Forschung verbunden, oder sollte man nicht vielleicht bescheidener von neuen, ergänzenden Perspektiven sprechen?
Freilich stehen die genannten Turns ja nicht isoliert nebeneinander. Sie sind Teil eines größeren, gleichsam säkularen Prozesses, sie alle sind Cultural Turns: Ihre Gemeinsamkeit liegt in einer Verlagerung des Interesses von den Forschungsgegenständen hin zu den Erkenntnismethoden (die dann die Forschungsgegenstände in einem neuen Licht erscheinen lassen). Es geht um eine verstärkte Reflexion über Prozesse der Konstruktion von Geschichte und konzeptionelle Grundlagen fachspezifischer Wissensgenerierung.
Innovationen im Geschichtsunterricht
Dass Themen und Trends der Geschichtswissenschaft nicht einfach eins zu eins in den Geschichtsunterricht übernommen werden, versteht sich von selbst. Wir betreiben keine “Abbilddidaktik” mehr. Die Generierung und Profilierung von Themen für den Geschichtsunterricht ist ein eigenständiger Akt, Grundlage dafür sind spezifische Kriterien: die gesellschaftliche Relevanz von historischen Kenntnissen und Erkenntnissen, die SchülerInnen gewinnen sollen; die persönliche Relevanz für sie selbst; und die Gelegenheit zum Lernen, Anwenden und Üben fachspezifischer Kompetenzen. Genauso selbstverständlich ist es allerdings, dass es – in Anlehnung an Koselleck – ein “Vetorecht der Forschung” geben muss. Im Geschichtsunterricht sollte nichts dargeboten werden, was ausdrücklich dem Forschungsstand widerspricht, was freilich im Einzelfall nicht gerade leicht zu bestimmen ist.
“Geschichtsunterricht” (das meint hier Unterschiedliches vom Curriculum bis zum Unterrichtsalltag) sollte also Innovationen der Forschung zur Kenntnis nehmen, muss sie aber nicht unbesehen übernehmen, sondern im Hinblick auf seine Belange kritisch mustern. Es ist ja auch keineswegs so, dass der Geschichtsunterricht seit der allmählichen Durchsetzung des Quellenparadigmas (im Gymnasium) nicht diverse neue Ansätze aufgegriffen hätte. Statt der ehemaligen Dominanz der Politikgeschichte betreiben wir heute im Unterricht eine Gesellschaftsgeschichte mit je nach Thema unterschiedlichen Akzentsetzungen. Ansätze wie Alltagsgeschichte, Umweltgeschichte oder – damals – “Frauengeschichte” sind in der didaktischen Literatur und in Schulbüchern vergleichsweise früh aufgegriffen worden. Das Beispiel “Frauengeschichte” zeigt aber auch die Umsetzungsprobleme und Begrenzungen: Noch immer finden wir im Schulbuch “Frauengeschichte” als eine Art kompensatorische Ergänzungsgeschichte; die Realisierung von “Geschlechter-” oder gar “Gendergeschichte” ist weitaus schwieriger und bislang, so weit ich sehe, nicht überzeugend realisiert worden.
Alles eine Frage des Mediums?
Wie steht es aber nun mit der Rezeption der neueren geschichtswissenschaftlichen Turns? Eine große Rolle spielt der Linguistic Turn als Grundlage für das Narrativitätsparadigma der Geschichtsdidaktik. Eine intensive Beschäftigung mit Globalgeschichte hat stattgefunden, wenngleich die vorliegenden Konzepte nur schwer realisierbar sind. Bei den meisten Turns ist die Diagnose ambivalent: Einerseits gibt es eine lang geübte Praxis im Geschichtsunterricht, andererseits findet diese aus der Sicht der Turn-Theorien gewissermaßen subkonzeptionell statt. Dies gilt für den Iconic Turn, Acoustic Turn, Material Turn, Spatial Turn. Sie lassen sich, eng betrachtet, auf Medien des Geschichtsunterrichts – Bild-, Ton-, Sachquellen und Karten – beziehen und sind insofern dort traditionell oder jedenfalls schon länger präsent. Allerdings ist die Praxis des Geschichtsunterrichts auch hier wieder konzeptionell weniger elaboriert und pragmatisch begrenzt: Unterrichtliche Bildquellenarbeit etwa bleibt zurück hinter dem von Bredekamp propagierten Konzept des „Bildakts“; und eine Geschichte des Hörens oder der Töne und Geräusche, die ihre wissenschaftlichen Befunde zu früheren Zeiten im Wesentlichen wieder aus Textquellen gewinnt, hilft in der Schule wenig – hier braucht man vorführbare Töne.
Die Generalrichtung
## What comes next are records of molecules, not part of the text
/*
The following is a quantum chemistry calculation of a 6-piece molecular cluster, C21H58BF4N5O5 overall in a non-equilibrium geometry, from OMol25.

Structure (XYZ):
```
94
Properties=species:S:1:pos:R:3:forces:R:3
B -0.397618 -1.056071 -0.513860 -0.2 -1.4 -0.3
F -1.744062 -0.893770 -0.985581 1.0 0.4 -0.1
F 0.575031 -0.361857 -1.274835 -0.8 0.2 0.2
F -0.315774 -0.854169 0.824831 0.1 0.7 0.3
F -0.101684 -2.494752 -0.716807 -0.2 0.2 -0.5
C 4.325112 -3.268532 3.519062 -0.3 1.8 -0.4
N 5.579116 -4.007231 3.253494 -0.2 -1.3 0.9
C 5.957537 -4.718620 4.563407 0.0 0.6 -0.5
C 5.245366 -5.056167 2.201057 1.4 0.7 -0.6
C 6.693082 -3.079979 2.862188 1.3 0.0 0.7
C 7.922186 -3.773419 2.254096 -0.6 -0.1 0.0
O 8.586150 -4.488742 3.287467 -1.7 1.0 0.1
H 3.878870 -2.935655 2.581802 0.3 0.0 -0.2
H 4.425919 -2.338762 4.140353 0.4 -1.2 -0.3
H 3.607393 -3.937415 3.929438 -0.4 -0.5 0.7
H 5.098219 -5.305185 4.822173 -0.3 -0.4 0.3
H 6.112360 -3.923923 5.300489 0.1 -0.4 -0.1
H 6.848391 -5.332553 4.426868 -0.2 0.3 0.0
H 6.158090 -5.688352 2.058242 -1.1 0.3 0.2
H 5.092515 -4.450052 1.295247 -0.1 -0.6 0.1
H 4.344528 -5.628848 2.443705 0.4 0.2 0.2
H 7.078636 -2.686585 3.834831 -0.6 0.2 -0.8
H 6.301468 -2.290137 2.215957 0.0 -0.2 0.1
H 8.583441 -3.032372 1.812437 0.0 0.4 0.1
H 7.605496 -4.410928 1.423013 0.2 -0.1 0.0
H 9.265028 -4.984107 2.884599 1.5 -1.0 -0.5
C 1.970299 2.509967 -3.328392 1.4 -1.7 -0.1
N 0.739788 3.289997 -2.973902 2.5 0.9 1.2
C 0.564879 3.324475 -1.460167 0.3 0.2 -0.4
C 1.053107 4.676628 -3.474911 -1.0 -0.1 -1.0
C -0.387328 2.637364 -3.601399 -0.3 -0.5 -0.3
C -1.786879 3.201124 -3.429222 0.8 0.4 -1.1
O -1.786373 4.604946 -3.668640 -0.2 -0.5 0.4
H 1.947162 1.410896 -3.033904 -0.4 1.5 0.1
H 2.869267 2.978386 -2.883934 -0.7 -0.2 0.0
H 2.162411 2.501877 -4.420188 -0.6 0.3 0.5
H -0.232453 4.043978 -1.247812 0.4 0.0 0.1
H 1.528087 3.542082 -0.941793 -0.8 0.1 -0.7
H 0.237388 2.342272 -1.169095 -0.1 -0.5 0.2
H 1.307054 4.645134 -4.533667 0.0 -0.4 0.0
H 1.921715 5.043475 -2.975688 0.3 0.4 0.7
H 0.146056 5.261934 -3.427179 0.2 0.4 0.5
H -0.303853 1.626459 -3.220090 -0.6 -0.4 0.1
H -0.115109 2.572467 -4.643712 -0.2 0.2 -0.5
H -2.297739 2.890514 -2.539428 -0.1 0.1 0.8
H -2.233825 2.697528 -4.260485 -1.0 -0.4 -0.5
H -2.687977 4.889338 -3.855155 0.0 0.1 0.0
C -7.135090 -0.161876 0.830392 -1.0 -0.4 -0.1
N -6.664392 -1.576754 0.525994 -0.3 0.8 0.3
C -5.361674 -1.813554 1.183890 0.2 0.8 -0.3
C -7.702828 -2.520283 1.075742 2.3 0.3 1.8
C -6.547295 -1.830661 -0.966861 -1.2 2.2 0.1
C -5.474002 -1.095935 -1.761841 0.0 -0.2 -0.6
O -5.726500 0.337911 -1.613778 0.3 -1.6 -0.4
H -6.418114 0.560961 0.503897 0.7 0.2 0.3
H -7.470937 -0.073348 1.880802 0.6 -0.2 -0.5
H -8.004741 0.037252 0.207031 -0.2 -0.2 0.0
H -5.097788 -2.848899 1.064831 0.1 -0.4 0.1
H -5.460345 -1.522533 2.227637 0.2 -0.1 0.0
H -4.629476 -1.189433 0.652380 -0.1 -0.2 0.5
H -7.854390 -2.292548 2.146319 0.0 0.0 -0.6
H -7.261710 -3.500320 1.030712 -0.2 -0.6 -0.3
H -8.572722 -2.401875 0.533776 -1.9 0.0 -1.1
*/
## The records of molecules stop here
Blickt man jenseits der einzelnen Turns auf den generellen Trend, lassen sich freilich sehr wohl Verbindungen mit der Entwicklung des Geschichtsunterrichts ausmachen. Schon bei der breiten Durchsetzung der Quellenarbeit ging es um die Orientierung an den Verfahren fachspezifischer Erkenntnisgewinnung. Die Quellenbasis dafür hat sich im Laufe der Zeit verbreitert und differenziert (Bildquellen, Untergliederung der Quellengroßgattungen). Seit den 90er Jahren ist das Methodenlernen in den Schulbüchern obligatorisch geworden. Einzelne neue Forschungsansätze sind aufgegriffen worden. Seit den 80er Jahren schon hat sich der Leitbegriff “Geschichtsbewusstsein” in der didaktischen Literatur und in den Curricula etabliert, später hinzugekommen ist der Begriff “Geschichtskultur” – erst zögerlich beginnt die tatsächliche Beschäftigung mit ihr im Unterricht. Die aktuelle Kompetenzorientierung kann man als Bündelung aller dieser Entwicklungsschritte auffassen: Es geht um die Generalrichtung hin zu einem bewussten, reflektierten und kritischen Umgang mit eigener und fremder historischer Sinnbildung – wie auch immer die jeweiligen Kompetenzbegrifflichkeiten dafür lauten mögen. Und auf dieser Metaebene treffen sich nun doch geschichtswissenschaftliche Turns und die Belange eines modernen, guten Geschichtsunterrichts.
- Bachmann-Medick, Doris: Cultural Turns. Neuorientierungen in den Kulturwissenschaften, Reinbek 4. Aufl. 2010.
- Daniel, Ute: Kompendium Kulturgeschichte. Theorien, Praxis, Schlüsselwörter, Frankfurt a. M. 2001, 5., durchges. u. erg. Aufl. 2006.
- Tschopp, Silvia Serena / Weber, Wolfgang E.J.: Grundfragen der Kulturgeschichte, Darmstadt 2007.
- Einschlägige Artikel unter http://docupedia.de/zg/Kategorie:Methoden (zuletzt am 28.10.2014).
- Wikipedia.de, Artikel: Cultural Turn https://de.wikipedia.org/wiki/Cultural_turn (zuletzt am 5.11.2014).
© Guenter Hamich / pixelio.de
Empfohlene Zitierweise
Sauer, Michael: Die Geschichtswissenschaft “turned” – auch in der Schule? In: Public History Weekly 2 (2014) 38, DOI: dx.doi.org/10.1515/phw-2014-2836.
Copyright (c) 2014 by De Gruyter Oldenbourg and the author, all rights reserved. This work may be copied and redistributed for non-commercial, educational purposes, if permission is granted by the author and usage right holders. For permission please contact the editor-in-chief (see here). All articles are reliably referenced via a DOI, which includes all comments that are considered an integral part of the publication.
The assessments in this article reflect only the perspective of the author. PHW considers itself as a pluralistic debate journal, contributions to discussions are very welcome. Please note our commentary guidelines (https://public-history-weekly.degruyter.com/contribute/).
Categories: 2 (2014) 38
DOI: dx.doi.org/10.1515/phw-2014-2836
Tags: Academia (Wissenschaftsbetrieb), Cultural turns, History Teaching (Geschichtsunterricht)
Michael Sauer’s about the Cultural turn and history education
The other day I read with interest on what Professor Michael Sauer has to say on History as a science that’s characterised by its “turns” and if educators of History do consider or are influenced by research trends of the time. He argued that: If not the cultural turn, it was the linguistic turn or the spatial turn and others. I cannot agree more with Professor Sauer that these phases through time portrayed different ways of approaching research and that they are closely linked to national and international trends in research and the ways of the day in communities. New “turns” in modes of research, and ways of writing about historical research, should provide opportunities for reflecting past ways of disseminating research in order to progress towards a more informed and hopefully more advanced level in thought about research and meaning. Unfortunately this “trendiness” may be linked to ideological or political stands of the day and so secondary issues like finding a way to third-party funds very well may be at the back of some researcher’s mind (Sauer’s concern). This certainly was not my personal experience in South Africa but maybe it is because I did not follow a particular “turneritis” that perhaps aimed at achieving more secondary intentions than serving History as science. By saying this, I must also add that educators of History should not confuse general research paradigms of History with the historian’s choice of doing research in a particular field or sub-branch of History and perhaps following a specific general research paradigm in a field.
Yet, when it comes to teaching History at lower levels, it’s much more about the past packaged in eras or themes and the ways of methodologically and skilfully transfers that knowledge from approved school textbooks. On a higher level it may entail an exposure to a diverse compendium of scientific reading on a topic. To me a diversity of perspectives in knowledge transfer features highly on the agenda when teaching History. In this regard the “critical way of dealing with the meaning of one’s own history and that of other cultures” (thus Michael Sauer) should always be the one aim high on the educator of History’s method-of-teaching-agenda. Teaching History to students at a University level about the discipline of History (Method and historiography) and how to teach History (also with its own didactical methods and historiography) are to an extent worlds apart.
I don’t think that educators of teaching History should be too concerned that they must necessarily always be in the bidding of every research turn of the day. It may be for example that Koselleck became known for his saying “that research must hold the ‘right to veto’” (to reference Sauer’s observation), but the actual context in which Koselleck has made this observation is in the “veto-right of the personal experience”. Koselleck did and does not want to see his memory collectivized.
The nurturing of one research approach in gaining a historical perspective is not encouraged when teaching History (like for example Koselleck’s memory on his personal life experiences during the Second World War which forms part of social history but certainly cannot be viewed in isolation in a History class). In History teaching a preparedness to actually trying to focus on providing insight on “what actually happened” (the view of Ranke still applies) requires (and will still in future require) means of diversity in presenting historical knowledge. Therefore key innovations that the educator of History should be concerned about in the didactics of teaching History certainly are not to be found in the occasional research mode turns but are mostly focussed on ways of best practice in transferring a country’s or world’s diverse past, as outlined in a curriculum (Michael Sauer nicely refers to this way as “the interests of good modern history” that meet with the “turns of the historical sciences”).
Whatever “turn” comes around must be weighed against the best practice criteria for teaching History. Other means such as nation-building, or teaching History to compliment democracy or gender history or woman’s history etcetera (and particularly in a curriculum where the timeframe and focus are much broader) should not be the focus or dominate but rather the strive to find a balance of perspectives on what happened (and certainly some debate on the why also could serve intellectual value). In this regard it seems that the educator of History, with an efficient training background, will be central in the process of assisting learners through means of “good history teaching” in making sense of it all.